Tuesday, May 18, 2010

+++
# 1
The following is a quantum chemistry calculation of a structure of composition C28H22FeP, from the OMol25 dataset.

Calculated values
Charge = +2
Lowest unoccupied orbital energy (spin up / spin down) = -6.038 / -8.574 eV
<S²> = 8.781
Spin multiplicity = 6
HOMO (spin up / spin down) = -14.12 / -14.22 eV
Total energy = -73052.5820 eV

Positions of all 52 atoms, in Å:
Fe: -0.4776 -1.2675 -0.9072
C: -0.6588 -3.8333 -0.7879
C: 0.6909 -3.5168 -0.6080
C: 1.3795 -2.8042 -1.5903
C: 0.7203 -2.4153 -2.7593
C: -0.6396 -2.7032 -2.9236
C: -1.3240 -3.4212 -1.9403
H: -1.1863 -4.3884 -0.0245
H: 1.1987 -3.8258 0.2959
H: 2.4260 -2.5660 -1.4506
H: 1.2567 -1.8849 -3.5346
H: -1.1528 -2.3995 -3.8272
H: -2.3703 -3.6604 -2.0803
C: 4.6379 2.4644 1.5208
C: 4.3839 1.1916 2.0156
C: 3.2202 0.5314 1.6565
C: 2.3115 1.1594 0.8033
C: 2.5666 2.4364 0.2976
C: 3.7328 3.0862 0.6683
P: 0.7689 0.3313 0.4410
C: 0.1524 0.9880 -1.1520
C: 1.0039 0.8519 -2.2719
C: 0.6021 1.3266 -3.5078
C: -0.6557 1.9094 -3.6488
C: -1.5087 2.0332 -2.5570
C: -1.1165 1.5727 -1.3105
C: -0.4515 0.6902 1.6757
C: -0.2895 1.6497 2.6409
C: -1.3179 1.8662 3.5801
C: -2.4559 1.1122 3.5376
C: -2.6369 0.1005 2.5589
C: -3.7964 -0.7142 2.5210
C: -3.9327 -1.6967 1.5864
C: -2.9143 -1.9138 0.6285
C: -1.7843 -1.1325 0.6210
C: -1.6163 -0.1172 1.6078
H: 5.5492 2.9768 1.7997
H: 5.0929 0.7138 2.6777
H: 3.0185 -0.4600 2.0452
H: 1.8617 2.9259 -0.3626
H: 3.9342 4.0802 0.2924
H: 1.9947 0.4266 -2.1475
H: 1.2679 1.2572 -4.3579
H: -0.9701 2.2767 -4.6173
H: -2.4754 2.5040 -2.6751
H: -1.7691 1.6895 -0.4541
H: 0.6191 2.2375 2.6888
H: -1.1967 2.6280 4.3379
H: -3.2403 1.2755 4.2671
H: -4.5758 -0.5510 3.2550
H: -4.8191 -2.3168 1.5730
H: -3.0577 -2.7042 -0.0973

Forces on the atoms, in the same order (eV/Å):
Fe -0.222 -0.038 0.041
C 0.073 -0.131 0.079
C -0.021 -0.077 0.108
C 0.163 -0.052 0.041
C -0.046 0.175 -0.055
C 0.030 0.014 -0.171
C -0.086 -0.166 -0.068
H 0.001 0.022 0.013
H 0.008 0.017 0.000
H 0.001 -0.014 -0.013
H -0.020 0.007 0.011
H 0.004 0.025 0.013
H 0.016 0.013 -0.016
C -0.006 0.010 -0.011
C -0.007 -0.019 -0.001
C 0.031 0.010 0.043
C 0.021 -0.178 -0.128
C 0.078 0.019 0.042
C -0.024 -0.002 -0.023
P 0.163 0.628 0.025
C 0.099 -0.286 0.011
C -0.044 0.102 0.000
C -0.038 -0.005 0.008
C 0.040 -0.014 -0.024
C -0.022 -0.021 0.006
C -0.021 0.039 -0.005
C -0.040 -0.250 -0.084
C -0.046 0.121 0.182
C 0.142 0.070 -0.023
C -0.124 -0.081 -0.016
C 0.056 0.069 0.043
C -0.015 0.096 0.092
C 0.009 -0.158 -0.183
C -0.262 0.136 0.267
C 0.450 0.042 -0.413
C -0.308 -0.115 0.162
H -0.013 -0.004 0.004
H -0.005 0.002 -0.003
H 0.000 0.007 0.000
H -0.001 -0.003 0.005
H 0.008 -0.007 0.004
H -0.010 0.001 0.008
H -0.008 0.002 -0.001
H 0.014 0.011 0.013
H 0.003 -0.010 -0.002
H 0.008 -0.019 -0.003
H -0.013 -0.003 0.000
H 0.012 -0.008 -0.011
H 0.011 -0.016 -0.008
H 0.016 0.012 0.007
H 0.008 0.002 -0.003
H -0.063 0.026 0.040

# 2
+++
End of the data records

Confession Tuesday: Public Libraries

…It was a hot, hot summer vacation and I had to be at least eight for my grandparents allowed me to go to the library by myself. I can recall the book: A.A. Milne's "Winnie the Pooh" in 10 separate volumes, and I got the "In Which Piglet is Entirely Surrounded by Water" story and read it the same day while sitting on the curb in front of some communist grocery store, waiting in line for whatever they were to bring in , especially meat and cheese that were difficult to find.
One delight of my growing up years were public libraries. Even  the censored, unkempt Romanian ones.  and particularly  the ones belonging to the French Institute and the British Council –even though I could barely read in English back then. There is where I became acquainted to Spider Man, Asterix, Tintin and the story of a boy living in a totalitarian regime who evades in the most unusual way . a story I remember well even though I cannot recall the author...Maybe I should call myself lucky –because I was born in the capital and also because I grew up uptown, only few blocks away from the above mentioned institutes. Children in the smaller cities and even the ones living in the distant neighborhoods were not as luck as I.

This Sunday, my painted face preschoolers and I had finally got to see the first live puppet show: a version of "The Little Red Hen" staged by the Carnegie Public Library of Pittsburgh. The greatest thing about it- it is completely free. I have to admit that we are lucky that Pittsburgh has a good public library because I have to make it on a very tight budget. There will be another fun festival on June 6th. And plenty of other programs in-between. Not that there is no room for improvement as for example, there is only a very limited collection of books in foreign languages. But for now I can only hope that they will be able to keep the programs they have going on since their funds had been cut again. So, here I am crossing my fingers for a public program that really works around here. And wondering how can we change people's outlook on such programs?
I know the culture I had left is still tributary to the fifty years of "all that matters are nails and screw-heads". I also realize that this one has developed an individual sense of wealth & achievement for which anything that bears the label "public" is as bad as living on social assistance. But, among the people who filled the room as they brought their children to see the puppet show, there was not even one who looked as they were receiving public assistance. Because it is not just about opportunities for the people that cannot afford to pay for a show ticket or buy books rather than borrowing them…This is more about a new sense of what community (a city of people ) will mean in the 21st century.

_Attached: data records_
********
Record 1
********


simonacratel said...

Odata m-a intrebat fi-miu ce s-ar intimpla daca totul ar fi din aur. Iar eu i-am raspuns atunci aurul ar deveni ceva banal si fara valoare.

In invazia asta mediatica, informativa si culturala, lucrurile pur si simplu se pierd.

Apoi, ca sa poti citi avalansa de carti existente pe piata, nu mai ai decit o alegere: biblioteca publica. Cumperi doar cind ti s epune pata pe un autor. Cumparatul a devenit doar o alegere de simpatie personala. Nimeni nu se mai asteapta sa traiasca din cultura. A devenit doar un gest de generozitate.

Ana said...

daca vorbim de valoare monetara, da, sunt de acord...
daca consideram un sens simbolic, metaforic, fatul ca "a scrie" a devenit un gest de generozitate, de fapt creste valoarea a ceea ce se publica...

Ana said...

Adaug un alt gand:
Daca consideram cantitatea de carti publicate in fiecare an, la care se adauga publicatiile electronice - problema pe care o ridici, a banalizarii actului creativ, e una foarte importanta...

simonacratel said...

Multe sint nefiltrate din pacate, si despre toate se vorbeste in termeni laudativi nejustificati.

Chiar si eu ma rusinez cu ceva texte pe care regret ca le-am publicat si am poluat lumea cuvintelor astfel.

O autoritate care sa recomande doar cartile bune, asta e important. Pentru ca editurile vor sa vinda, pt. ca ei cind cite un exemplar din fiecare, dar lor le convine...

In fine, e o discutie foarte lunga... de ce anume vizibilitatea scade a unui scriitor bun. Plus ca sint foarte multi buni, cam la acelasi nivel...